-- Material --
Formula: C22H25N7SSn
Source: the Open Molecules 2025 dataset
Level of theory: ωB97M-V/def2-TZVPD

* energy relative to the best compared isomer or geometry (same formula, charge and spin): 0.0 kJ/mol
* charge: +2
* HOMO-LUMO gap (alpha / beta): 0.165 / 0.173 Eh
* highest occupied orbital energy (alpha / beta): -14.035 / -14.140 eV

Each line ends with the Mulliken charge.
Geometry (Å):
Sn 1.1577 -1.0605 -1.4225  0.996
S 3.9058 -0.2107 -1.0944  -0.067
N 1.7035 -1.3960 3.0247  -0.287
N 0.8341 -0.3013 2.9039  0.652
N 1.9992 -1.7777 1.8298  -0.490
N 0.7467 -3.1873 -1.2079  -0.140
N -1.1290 -1.1883 -1.0077  0.074
N 1.2767 -1.0398 0.8876  0.569
N 1.8118 1.4372 -0.9758  -0.026
C -2.8965 -0.2194 -4.8956  -0.631
C -2.1940 -0.2280 -3.6724  0.066
C -4.2886 -0.2101 -4.8908  -0.447
C -4.2790 -0.0575 -2.4939  -0.489
C -2.1887 -0.1613 -1.1194  -1.307
C -4.9843 -0.0809 -3.6873  -0.567
C 3.1521 1.3504 -1.0794  0.508
C 2.3294 1.3509 5.0175  -1.312
C 1.4304 -4.3765 -1.2509  -0.519
C -2.8777 -0.1598 -2.4746  0.801
C 3.3152 3.7679 -1.1967  -0.273
C -0.6289 -3.4856 -1.0450  0.053
C 1.8901 3.8337 -1.1518  -0.810
C 0.1463 0.2126 4.1365  -1.119
C 0.6423 -0.1216 1.5880  -0.508
C 1.2169 2.6353 -1.0571  -0.113
C 0.4062 2.8325 3.9355  -1.381
C 0.5602 -5.4347 -1.0405  -0.569
C -0.7416 -4.8752 -0.8719  -0.710
C 0.7770 1.5213 4.6642  0.636
C 3.9484 2.5230 -1.1877  -0.617
C -1.5687 -2.4120 -1.0074  0.213
H -4.7798 0.0576 -1.5543  0.387
H 0.3531 1.5176 5.6574  0.334
H 2.4731 1.8073 6.0272  0.362
H -2.9383 -0.3389 -0.3472  0.464
H -0.8909 0.3679 3.8438  0.430
H 2.4863 -4.4322 -1.2893  0.514
H 0.2548 -0.5947 4.8818  0.371
H 0.0977 0.6752 1.0773  0.460
H 0.8202 -6.4706 -1.0038  0.453
H 2.9699 1.8593 4.3112  0.319
H -1.6267 -5.3951 -0.6199  0.508
H -0.6844 2.9734 3.9859  0.373
H 2.6468 0.2968 5.0307  0.371
H 1.3065 4.7472 -1.3102  0.454
H 0.7288 2.8853 2.9050  0.281
H 0.8923 3.6345 4.5078  0.410
H -4.8329 -0.2950 -5.8260  0.397
H -2.6316 -2.6469 -1.1310  0.476
H -2.2993 -0.3457 -5.8309  0.350
H -6.0771 -0.0424 -3.6196  0.385
H 3.9275 4.6922 -1.1683  0.408
H 0.1498 2.5952 -0.8990  0.457
H -1.0961 -0.2674 -3.6850  0.093
H 5.0236 2.4265 -1.2051  0.460
H -1.7465 0.8122 -0.8952  0.295

* * * * *

No. 1
14
Properties=species:S:1:pos:R:3:forces:R:3 method="wB97M-V/def2-TZVPD" spin_multiplicity=1 de_lowest_kcal_mol=21.69 largest_force_ev_per_a=1.9 e_tot_ev=-9846.3391 smiles="CC(=O)NCC=O"
C -1.38788 -1.41874 0.22175 0.132 0.596 -0.306
C -0.73857 -0.83038 -1.01796 0.303 -0.550 0.242
O -1.07665 -1.13147 -2.14050 -0.207 0.151 -0.134
N 0.38217 -0.06501 -0.79874 -0.720 1.051 -0.231
C 0.68500 0.58196 0.46309 0.748 -1.763 0.058
C 1.44957 1.85806 0.40112 -0.238 0.333 0.597
O 1.57717 2.57974 -0.54327 0.086 -0.100 -0.450
H -0.60200 -1.88235 0.81665 -0.211 -0.083 0.226
H -2.12778 -2.12518 -0.10222 -0.153 -0.464 -0.095
H -1.91308 -0.65455 0.79831 0.193 0.014 0.121
H 0.67509 0.41731 -1.64033 0.124 0.073 0.122
H 1.34488 -0.13323 0.98520 0.078 0.392 0.319
H -0.14925 0.69048 1.16424 -0.183 0.253 -0.349
H 1.88132 2.11335 1.39265 0.048 0.098 -0.121

---

No. 2
124
Properties=species:S:1:pos:R:3:forces:R:3 method="wB97M-V/def2-TZVPD" spin_multiplicity=1 de_lowest_kcal_mol=0.00 largest_force_ev_per_a=6.3 e_tot_ev=-107732.1684 smiles="CCOC(=O)C(F)(F)F.CCOC(=O)C(F)(F)F.CCOC(=O)C(F)(F)F.CCOC(=O)C(F)(F)F.O=C1CCCO1.O=C1CCCO1.O=C1CCCO1.COCCOC.COCCOC"
C -3.36189 -7.39107 -11.21431 -0.449 0.940 -0.189
C -3.98417 -6.80246 -9.93831 0.778 0.085 -1.173
O -5.07577 -7.59270 -9.58838 -4.153 -2.112 0.732
C -6.26532 -7.58768 -10.29186 2.367 2.152 -3.726
O -6.39091 -6.94593 -11.37084 -0.259 -2.440 4.281
C -7.39533 -8.52527 -9.70003 -0.364 0.867 0.311
F -7.88886 -9.41016 -10.60034 1.265 0.401 0.960
F -6.97319 -9.09794 -8.55323 -0.343 -0.221 -1.233
F -8.44970 -7.74855 -9.38070 0.437 0.017 0.000
H -2.43637 -6.88680 -11.49218 0.103 -0.105 0.214
H -4.06197 -7.21333 -12.03064 0.083 -0.212 -0.063
H -3.20476 -8.46374 -11.10120 0.102 0.102 0.103
H -4.39325 -5.79459 -10.00860 0.674 0.272 -0.337

-- Wanted --
Next, write out the rows above from the first line to the one with "4.3112" verbatim.

-- Written answer --
Formula: C22H25N7SSn
Source: the Open Molecules 2025 dataset
Level of theory: ωB97M-V/def2-TZVPD

* energy relative to the best compared isomer or geometry (same formula, charge and spin): 0.0 kJ/mol
* charge: +2
* HOMO-LUMO gap (alpha / beta): 0.165 / 0.173 Eh
* highest occupied orbital energy (alpha / beta): -14.035 / -14.140 eV

Each line ends with the Mulliken charge.
Geometry (Å):
Sn 1.1577 -1.0605 -1.4225  0.996
S 3.9058 -0.2107 -1.0944  -0.067
N 1.7035 -1.3960 3.0247  -0.287
N 0.8341 -0.3013 2.9039  0.652
N 1.9992 -1.7777 1.8298  -0.490
N 0.7467 -3.1873 -1.2079  -0.140
N -1.1290 -1.1883 -1.0077  0.074
N 1.2767 -1.0398 0.8876  0.569
N 1.8118 1.4372 -0.9758  -0.026
C -2.8965 -0.2194 -4.8956  -0.631
C -2.1940 -0.2280 -3.6724  0.066
C -4.2886 -0.2101 -4.8908  -0.447
C -4.2790 -0.0575 -2.4939  -0.489
C -2.1887 -0.1613 -1.1194  -1.307
C -4.9843 -0.0809 -3.6873  -0.567
C 3.1521 1.3504 -1.0794  0.508
C 2.3294 1.3509 5.0175  -1.312
C 1.4304 -4.3765 -1.2509  -0.519
C -2.8777 -0.1598 -2.4746  0.801
C 3.3152 3.7679 -1.1967  -0.273
C -0.6289 -3.4856 -1.0450  0.053
C 1.8901 3.8337 -1.1518  -0.810
C 0.1463 0.2126 4.1365  -1.119
C 0.6423 -0.1216 1.5880  -0.508
C 1.2169 2.6353 -1.0571  -0.113
C 0.4062 2.8325 3.9355  -1.381
C 0.5602 -5.4347 -1.0405  -0.569
C -0.7416 -4.8752 -0.8719  -0.710
C 0.7770 1.5213 4.6642  0.636
C 3.9484 2.5230 -1.1877  -0.617
C -1.5687 -2.4120 -1.0074  0.213
H -4.7798 0.0576 -1.5543  0.387
H 0.3531 1.5176 5.6574  0.334
H 2.4731 1.8073 6.0272  0.362
H -2.9383 -0.3389 -0.3472  0.464
H -0.8909 0.3679 3.8438  0.430
H 2.4863 -4.4322 -1.2893  0.514
H 0.2548 -0.5947 4.8818  0.371
H 0.0977 0.6752 1.0773  0.460
H 0.8202 -6.4706 -1.0038  0.453
H 2.9699 1.8593 4.3112  0.319